Sunday, December 16, 2007

The Conclusion Is On The Air!

Once again: feel free to take and use this picture!

At the Little Studios : "CCSI - The Santa Caper"

Executive Producer: Little Productions, Sassy
Producers: Opus and Roscoe
Director: Ruis
Writer: Karl


Anonymous said...

This has been a great story. I'm gonna go and see the conclusion now. I had fun seeing you yesterday for Part II.

Jan Price said...

Between two parts of the entry: calculated molecules =
The following is a quantum chemistry calculation of one molecule with the formula C6H13N3 at a distorted geometry, from OMol25.

Output
* highest occupied orbital energy: -8.471 eV
* net charge: 0
* SMILES string: [H]/N=C(/C)C/C(=N\[H])N(C)C

XYZ file:
```
22
Properties=species:S:1:pos:R:3:forces:R:3
C -0.1947 0.2280 0.5546 -4.9 -0.8 -1.7
H 0.7322 -1.5376 -0.1328 -0.3 0.0 -0.3
C 2.2749 0.1017 0.0177 -1.5 -1.8 0.0
H -3.0633 -1.7988 -0.4980 0.2 0.5 0.1
H -2.0001 -1.9530 0.9211 -0.2 -0.3 -0.1
C 0.6533 -0.4763 -0.3623 6.6 1.2 0.8
N 2.9268 -0.3292 1.0271 -0.7 0.5 -0.5
N -0.1521 1.0292 1.5105 -0.4 -0.4 -0.6
C -2.7192 0.7112 0.0700 -0.1 0.0 0.6
H 2.8075 0.7112 -1.9572 -0.1 0.1 0.0
H 2.3688 -0.9650 1.6092 0.1 0.0 -0.3
C 2.8928 1.0849 -0.9331 0.0 -0.2 0.0
H -2.9861 0.6810 1.1381 -0.1 0.2 -0.1
H 3.9532 1.2347 -0.7097 -0.2 0.0 0.1
N -1.6488 -0.2227 -0.2363 1.3 2.2 1.3
H 0.7782 1.3263 1.8140 0.0 -0.3 -0.3
H -1.4083 -2.2422 -0.7494 0.1 0.0 0.2
H -2.4250 1.7362 -0.1813 0.0 -0.2 0.1
H 2.3651 2.0406 -0.8716 0.0 0.0 -0.1
C -2.0480 -1.6096 -0.1239 0.5 -0.4 0.4
H 0.5287 -0.2358 -1.4148 -0.5 -0.2 0.2
H -3.6357 0.4853 -0.4919 0.3 -0.1 -0.1
```
Positions in Å, forces in eV/Å.

Results of the Mulliken charge analysis, in e, for atoms 1 through 5: atom 1 (C): 0.46, atom 2 (H): 0.33, atom 3 (C): 0.45, atom 4 (H): 0.38, atom 5 (H): 0.30

The following is a quantum chemistry calculation of a 7-piece molecular cluster, C42H40F6NO overall, from OMol25.

Output
* highest occupied orbital energy: -11.057 eV
* net charge: +1

XYZ file:
```
90
Properties=species:S:1:pos:R:3:forces:R:3
H 1.7358 -3.7160 -4.2334 0.0 0.0 0.0
H -4.9440 2.8935 -0.4725 0.0 0.0 0.0
F -2.4916 3.1197 1.5890 0.1 0.0 0.0
C 2.1029 -0.0690 0.0020 0.3 -0.1 -0.1
H 7.6727 -3.9940 -0.3014 0.0 0.0 0.0
C -4.7382 4.9980 -0.1471 0.1 0.0 0.0
C -2.5303 4.1785 3.7048 0.1 0.1 0.0
F -1.5879 -1.7877 -6.8005 0.0 0.0 0.0
C 4.8860 -3.1471 5.3057 0.0 0.0 0.0
H 0.6358 -1.5550 -0.5627 -0.3 0.0 0.4
H 3.5944 -0.0325 5.6545 0.0 0.0 0.0
H -7.9173 5.3636 -2.3086 0.0 0.0 0.0
H -1.6267 1.0739 -3.3523 0.0 0.0 0.0
H 0.1431 -7.4757 -2.9038 0.0 0.0 0.0
C -0.2016 0.8259 1.5104 0.0 -0.1 0.3
H -4.1078 3.1428 6.5201 0.0 0.0 0.0
H 3.5034 -2.6482 2.2532 0.0 -0.1 0.0
C -0.7939 -4.3346 -2.0580 0.0 0.0 0.1
H 4.8606 -1.7389 6.9143 0.0 0.0 0.0
H -3.8447 4.9230 0.4570 0.0 0.0 0.0
C -3.7186 2.1046 3.3245 0.0 -0.2 -0.1
C -6.4999 4.0003 -1.4524 0.0 0.0 0.0
C -0.7815 -5.7227 -2.0896 0.0 0.0 0.0
H -4.7558 1.2920 5.0116 0.0 0.0 0.0
C 0.7420 -0.4748 -0.5536 0.5 0.1 -0.5
C 7.1074 -3.0825 -0.4377 0.0 0.0 0.0
H -3.9958 1.3159 2.6372 0.0 0.0 0.0
C 3.4645 -1.2285 3.8756 0.0 0.0 0.0
C -1.9058 0.8577 -4.3778 0.0 0.0 0.0
C 4.4953 -3.3719 4.0012 0.0 0.0 0.0
C -1.9224 -0.6068 -6.2491 0.0 0.0 0.0
N -0.4364 0.1623 0.1486 0.0 -0.1 -0.1
C -6.4249 6.3930 -1.1748 0.0 0.0 0.0
C -5.3575 3.8738 -0.6744 0.0 0.0 0.0
H -1.9025 4.9698 3.3178 0.0 0.0 0.0
H 4.7254 -1.1659 1.0154 0.1 0.1 0.1
H 2.7921 -0.8811 -0.2299 0.0 0.1 0.0
C 3.8459 -0.9744 5.1854 0.0 0.0 0.0

Hey, Karl,

Wonderful conclusion. I borrowed the poster for Part 4 for JFF. It's almost sad to see it end, but at least it is a happy ending.

Jan's Funny Farm

Angel MoMo and Charlotte said...

Great script, Karl! Three cheers for the writer! The production team did a great job and you should all have a party and celebrate for a job well done.

Kitty Cat Cast said...

Great job, Karl, we really enjoyed reading this...well our daddy read it to us.


Simba and Persia

PerfectTosca said...

Geeze I hope some day I can hang out with all you movie doogs and cats! I mean I'm a Collie and don't hold Lassie against me ok? I wouldn't mind a job helping cats. I love cats. I have three of my own. Well ok, I am not the boss and I don't exactly "Have" them, they have me.

I could like maybe give them rides around the studio when they need to go someplace. I promise not to get a lot of hair everywhere either.

Sassy Kat said...

Thanks for lettin me use the photos for the CCSI show. Added a nice touch to the series. We did it! What a great team. Would like to work with all again!!!!

Gemini and Ichiro said...

What an excellent story Karl! Nicely done--even if Gemini was in it.

Asta said...

I can't congwatulate you enough on an absolutely pawfect was touching, and mystewious, and funny and visually exciting..and what a pawfect ending..I am so gwateful to have been a pawt of it..Thank You fow the oppowtunity!
Smoochie kisses

The Meezers or Billy said...

Karl, what a fantastic story!! we is so honored to be part of a great show!

Anonymous said...

What a terrific story. I really liked the happy ending. The acting, costumes and scenery were great!

The Furry Fighter said...

thanks for this wonderful story - great pictures and a super-wonderful cast :) xxx

Sassy Kat said...

Applause to my wonderful writer of CCSI II The Santa Caper. aka: Graphic design crew too. Thank for all, ya helped make this one heck of a show!!!!!!

Mark's Mews (Marley, Lori, Loki, and Binq) said...

A great ending to the story!!!

We really thought Sandy Claws had set up his kit-napping, but we is glad we were wrong...

Cat Naps in Italy said...

Bravo Karl! Bravissimo! What a wonderful job you did with this story! We LOVE how you used all the characters from the holidays and the happy ending!

We raise our glass to you!

Can't wait to work with you again. We had such a wonderful time.

And now for New Years....hmmmmm (or maybe a break first).

Opus and Roscoe

PB 'n J said...

It was a great show, thanks you guys!

Juno said...

Karl!! Congratulations on the success of CCSI!!! Pinot and I were honoured to work with you and wanted to say thank you for your hard work!!

Momo & Pinot

Sassy Kat said...

Stoppin in again to say I cannot do CCSI without my crew. You are officially hired as was Karl, Opus & Roscoe. You have a job with Little Productions now and forever, as long as you want. It is I to thank you.

Jan Price said...


Just stopped by to tell you how much we enjoyed working with all of the crew and cast associated with The Santa Caper. It has been fun.

Jan's Funny Farm

Boy said...

Gweat show!

Sassy Kat said...

Couldn't wait any longer, as the humans like to say "The cat is out of the bag now.", ha, ha, ha. CCSI is moving and I have posted the latest information about that new news. Thanks again for everything.

snowforest said...

Wow what a wunderful storee - concatulations to all the CCSI team for making such a great series :)